Input.
┌──
Record 1
This record from the OMol25 dataset describes a single C4H13N3 molecule at a distorted geometry. The level of theory is ωB97M-V/def2-TZVPD.

Last column: Mulliken charge in e.
Geometry (Å):
N1 1.07 2.39 -0.83  -0.540
N2 -2.30 -1.05 0.42  -0.594
N3 1.13 -0.03 -0.47  -0.399
C1 -0.34 -0.16 -0.44  -0.764
C2 1.53 1.06 -1.36  -0.431
C3 -0.23 -1.12 1.96  -1.406
C4 -0.84 -1.28 0.48  0.497
H1 -0.86 0.75 -0.13  0.323
H2 -2.77 -0.59 1.17  0.213
H3 1.53 0.15 0.47  0.238
H4 -0.59 -0.44 -1.51  0.223
H5 2.63 0.94 -1.41  0.357
H6 -0.53 -2.39 0.20  0.293
H7 1.22 2.52 0.08  0.164
H8 1.53 3.17 -1.37  0.216
H9 -0.22 -0.02 2.17  0.283
H10 1.06 0.80 -2.36  0.331
H11 -2.84 -1.98 0.29  0.238
H12 0.77 -1.48 1.94  0.368
H13 -0.94 -1.52 2.70  0.393

Results
Maximum force ... 6.6 eV Å⁻¹
Energy ... -8827.8322 eV
Relative energy (zero: lowest compared OMol25 entry of this formula, charge and spin) ... 36.4 kcal per mole
Total charge ... 0
HOMO-LUMO gap ... 9.91 eV



Record 2
This record from the OMol25 dataset describes a gas-phase ion, C4H13N3 (charge +2) at a distorted geometry. The level of theory is ωB97M-V/def2-TZVPD.

Last column: Mulliken charge in e.
Geometry (Å):
N1 -0.05 1.00 -0.89  -0.222
N2 0.84 -1.09 -0.56  -0.152
N3 -0.69 0.49 0.31  0.039
C1 -2.02 0.06 -0.02  -1.059
C2 0.32 -0.83 0.67  -0.363
C3 1.31 -0.31 1.67  -1.078
C4 1.14 0.12 -1.33  -0.484
H1 0.78 -0.22 2.55  0.449
H2 1.55 0.70 1.24  0.279
H3 2.00 -1.11 1.73  0.357
H4 -2.55 0.61 -0.64  0.477
H5 -0.23 -1.62 1.00  0.702
H6 0.49 -1.72 -1.25  0.340
H7 0.03 2.00 -1.01  0.314
H8 -0.71 1.15 1.04  0.394
H9 2.02 0.73 -0.98  0.329
H10 1.22 0.05 -2.45  0.415
H11 -0.78 1.02 -1.65  0.428
H12 -2.03 -0.90 -0.36  0.437
H13 -2.64 -0.13 0.94  0.396

Results
Maximum force ... 6.1 eV Å⁻¹
Energy ... -8807.8227 eV
Relative energy (zero: lowest compared OMol25 entry of this formula, charge and spin) ... 132.7 kcal per mole
Total charge ... +2
HOMO-LUMO gap ... 11.99 eV



Record 3
This record from the OMol25 dataset describes 2 unconnected molecules or ions with the total composition C4H13N3 at a distorted geometry. The level of theory is ωB97M-V/def2-TZVPD.

Last column: Mulliken charge in e.
Geometry (Å):
N1 0.33 0.55 -0.39  -0.608
N2 0.86 1.87 -0.25  -0.160
N3 0.87 -1.65 -0.02  -0.326
C1 -3.43 -0.31 -0.28  -0.224
C2 1.15 -0.41 -0.04  0.676
C3 2.60 0.02 0.35  -1.178
C4 -2.28 -0.61 0.35  -0.430
H1 -3.97 0.58 -0.19  0.341
H2 1.28 1.94 0.67  0.307
H3 3.09 0.66 -0.50  0.349
H4 1.57 -2.39 -0.06  0.295
H5 2.54 0.76 1.22  0.358
H6 -2.23 -0.21 1.35  0.391
H7 -2.06 -1.68 0.32  0.336
H8 -3.79 -0.96 -1.20  0.267
H9 1.53 1.85 -1.09  0.410
H10 0.13 2.55 -0.32  0.309
H11 3.28 -0.79 0.75  0.348
H12 0.01 -2.01 -0.50  0.260
H13 -1.49 0.24 -0.15  0.278

Results
Maximum force ... 5.3 eV Å⁻¹
Energy ... -8808.0096 eV
Relative energy (zero: lowest compared OMol25 entry of this formula, charge and spin) ... 128.4 kcal per mole
Total charge ... +2
HOMO-LUMO gap ... 8.86 eV



Record 4
This record from the OMol25 dataset describes a gas-phase ion, C4H13N3 (charge +3) at a distorted geometry. The level of theory is ωB97M-V/def2-TZVPD.

Last column: Mulliken charge in e.
Geometry (Å):
N1 2.89 0.53 -1.24  -0.353
N2 -2.28 -0.19 1.90  -0.339
N3 -1.07 -1.29 -0.55  -0.207
C1 -0.73 -0.06 0.06  0.252
C2 -1.49 0.66 0.93  -0.378
C3 0.55 0.78 -0.38  -0.287
C4 1.60 -0.21 -0.67  -1.061
H1 -1.57 -0.77 2.51  0.453
H2 0.15 1.38 -1.15  0.372
H3 -1.15 -1.50 -1.59  0.393
H4 1.03 1.29 0.54  0.509
H5 3.61 -0.14 -1.38  0.363
H6 -1.15 1.64 1.16  0.435
H7 2.58 0.74 -2.21  0.387
H8 -2.85 -0.83 1.30  0.420
H9 3.22 1.37 -0.57  0.418
H10 -2.93 0.24 2.60  0.405
H11 -0.73 -2.18 -0.20  0.383
H12 2.05 -0.82 0.09  0.374
H13 1.38 -0.88 -1.51  0.461

Results
Maximum force ... 4.5 eV Å⁻¹
Energy ... -8792.9073 eV
Relative energy (zero: lowest compared OMol25 entry of this formula, charge and spin) ... 75.2 kcal per mole
2S+1 ... 2
Total charge ... +3
HOMO-LUMO gap (alpha / beta) ... 10.99 / 6.59 eV



The highest total charge belongs to which entry? number 4
└──

Request.
Return the entries further up with every line break kept.

Written answer.
Record 1
This record from the OMol25 dataset describes a single C4H13N3 molecule at a distorted geometry. The level of theory is ωB97M-V/def2-TZVPD.

Last column: Mulliken charge in e.
Geometry (Å):
N1 1.07 2.39 -0.83  -0.540
N2 -2.30 -1.05 0.42  -0.594
N3 1.13 -0.03 -0.47  -0.399
C1 -0.34 -0.16 -0.44  -0.764
C2 1.53 1.06 -1.36  -0.431
C3 -0.23 -1.12 1.96  -1.406
C4 -0.84 -1.28 0.48  0.497
H1 -0.86 0.75 -0.13  0.323
H2 -2.77 -0.59 1.17  0.213
H3 1.53 0.15 0.47  0.238
H4 -0.59 -0.44 -1.51  0.223
H5 2.63 0.94 -1.41  0.357
H6 -0.53 -2.39 0.20  0.293
H7 1.22 2.52 0.08  0.164
H8 1.53 3.17 -1.37  0.216
H9 -0.22 -0.02 2.17  0.283
H10 1.06 0.80 -2.36  0.331
H11 -2.84 -1.98 0.29  0.238
H12 0.77 -1.48 1.94  0.368
H13 -0.94 -1.52 2.70  0.393

Results
Maximum force ... 6.6 eV Å⁻¹
Energy ... -8827.8322 eV
Relative energy (zero: lowest compared OMol25 entry of this formula, charge and spin) ... 36.4 kcal per mole
Total charge ... 0
HOMO-LUMO gap ... 9.91 eV



Record 2
This record from the OMol25 dataset describes a gas-phase ion, C4H13N3 (charge +2) at a distorted geometry. The level of theory is ωB97M-V/def2-TZVPD.

Last column: Mulliken charge in e.
Geometry (Å):
N1 -0.05 1.00 -0.89  -0.222
N2 0.84 -1.09 -0.56  -0.152
N3 -0.69 0.49 0.31  0.039
C1 -2.02 0.06 -0.02  -1.059
C2 0.32 -0.83 0.67  -0.363
C3 1.31 -0.31 1.67  -1.078
C4 1.14 0.12 -1.33  -0.484
H1 0.78 -0.22 2.55  0.449
H2 1.55 0.70 1.24  0.279
H3 2.00 -1.11 1.73  0.357
H4 -2.55 0.61 -0.64  0.477
H5 -0.23 -1.62 1.00  0.702
H6 0.49 -1.72 -1.25  0.340
H7 0.03 2.00 -1.01  0.314
H8 -0.71 1.15 1.04  0.394
H9 2.02 0.73 -0.98  0.329
H10 1.22 0.05 -2.45  0.415
H11 -0.78 1.02 -1.65  0.428
H12 -2.03 -0.90 -0.36  0.437
H13 -2.64 -0.13 0.94  0.396

Results
Maximum force ... 6.1 eV Å⁻¹
Energy ... -8807.8227 eV
Relative energy (zero: lowest compared OMol25 entry of this formula, charge and spin) ... 132.7 kcal per mole
Total charge ... +2
HOMO-LUMO gap ... 11.99 eV



Record 3
This record from the OMol25 dataset describes 2 unconnected molecules or ions with the total composition C4H13N3 at a distorted geometry. The level of theory is ωB97M-V/def2-TZVPD.

Last column: Mulliken charge in e.
Geometry (Å):
N1 0.33 0.55 -0.39  -0.608
N2 0.86 1.87 -0.25  -0.160
N3 0.87 -1.65 -0.02  -0.326
C1 -3.43 -0.31 -0.28  -0.224
C2 1.15 -0.41 -0.04  0.676
C3 2.60 0.02 0.35  -1.178
C4 -2.28 -0.61 0.35  -0.430
H1 -3.97 0.58 -0.19  0.341
H2 1.28 1.94 0.67  0.307
H3 3.09 0.66 -0.50  0.349
H4 1.57 -2.39 -0.06  0.295
H5 2.54 0.76 1.22  0.358
H6 -2.23 -0.21 1.35  0.391
H7 -2.06 -1.68 0.32  0.336
H8 -3.79 -0.96 -1.20  0.267
H9 1.53 1.85 -1.09  0.410
H10 0.13 2.55 -0.32  0.309
H11 3.28 -0.79 0.75  0.348
H12 0.01 -2.01 -0.50  0.260
H13 -1.49 0.24 -0.15  0.278

Results
Maximum force ... 5.3 eV Å⁻¹
Energy ... -8808.0096 eV
Relative energy (zero: lowest compared OMol25 entry of this formula, charge and spin) ... 128.4 kcal per mole
Total charge ... +2
HOMO-LUMO gap ... 8.86 eV



Record 4
This record from the OMol25 dataset describes a gas-phase ion, C4H13N3 (charge +3) at a distorted geometry. The level of theory is ωB97M-V/def2-TZVPD.

Last column: Mulliken charge in e.
Geometry (Å):
N1 2.89 0.53 -1.24  -0.353
N2 -2.28 -0.19 1.90  -0.339
N3 -1.07 -1.29 -0.55  -0.207
C1 -0.73 -0.06 0.06  0.252
C2 -1.49 0.66 0.93  -0.378
C3 0.55 0.78 -0.38  -0.287
C4 1.60 -0.21 -0.67  -1.061
H1 -1.57 -0.77 2.51  0.453
H2 0.15 1.38 -1.15  0.372
H3 -1.15 -1.50 -1.59  0.393
H4 1.03 1.29 0.54  0.509
H5 3.61 -0.14 -1.38  0.363
H6 -1.15 1.64 1.16  0.435
H7 2.58 0.74 -2.21  0.387
H8 -2.85 -0.83 1.30  0.420
H9 3.22 1.37 -0.57  0.418
H10 -2.93 0.24 2.60  0.405
H11 -0.73 -2.18 -0.20  0.383
H12 2.05 -0.82 0.09  0.374
H13 1.38 -0.88 -1.51  0.461

Results
Maximum force ... 4.5 eV Å⁻¹
Energy ... -8792.9073 eV
Relative energy (zero: lowest compared OMol25 entry of this formula, charge and spin) ... 75.2 kcal per mole
2S+1 ... 2
Total charge ... +3
HOMO-LUMO gap (alpha / beta) ... 10.99 / 6.59 eV



The highest total charge belongs to which entry? number 4